A/n: This is a one-shot based off of the abridged series. I hope you enjoy. This takes place after Duelist Kingdom.

I don't own Yu Gi Oh or the Abridged Series. I also don't own Easy-Mac, although I have a ton in the bottom drawer of my dresser in my dorm room.

"Thanks for inviting me to stay at your place, Joey," Serenity said as she sat beside her big brother. "And I'm not even angry anymore about how you blew your prize money on children's trading cards. Sure that operation would have been nice, but I guess being blind isn't the worst thing in the world."

"Shut yer yap," Joey replied. "I'm trying to watch the Card Game Channel."

"And now back to our five-part series on Exodia," The announcer declared. "And here with more information, is Seto Kaiba."

<<<
This record from Materials Project describes an optimized crystal structure of SrTaNO2. The functional is PBE-GGA.

## Properties
The value obtained for the total energy is -8.748 eV per atom. The piezoelectric modulus e_max is 10.55 C/m2. Its formation energy is -2667 meV per atom. The density comes out at 7.75 g cm⁻³. The magnetization is 0.0 μB/cell. For the MP2020-corrected energy, the calculation gives -9.02 eV per atom.

Structure (extended XYZ):
```
20
Lattice="5.731 0.000 0.000 -0.009 5.743 0.000 -0.002 -0.008 8.190" Properties=species:S:1:pos:R:3 pbc="T T T"
Sr 0.000 0.000 0.000
Sr 0.143 -0.002 4.285
Sr 2.917 2.879 8.185
Sr 3.060 2.898 4.283
Ta 0.098 2.782 6.275
Ta 0.113 2.882 2.032
Ta 2.955 0.077 6.222
Ta 2.970 0.003 2.232
N 0.132 3.079 0.099
N 1.445 1.294 6.369
N 2.965 0.159 4.134
N 4.314 1.520 6.357
O 0.080 2.636 4.124
O 1.383 1.237 1.932
O 1.710 4.131 6.042
O 1.718 4.102 2.278
O 3.038 5.431 0.085
O 4.250 1.567 1.935
O 4.577 4.413 6.031
O 4.581 4.443 2.283
```

----------

Entry from the Materials Project database: crystalline Rh2O3 at its relaxed geometry (PBE).

Results
- Raw total energy: -262.89 eV per cell
- ΔE_f: -1.07 eV/atom
- Energy with MP2020 corrections: -34.9 eV per formula unit

abc: 5.2293 5.5136 14.9600
angles: 90.00 90.00 90.00
Last column: nearest neighbours and their distance in Å.
Space group Pbca (No. 61)
Asymmetric unit:
Rh 0.0013 0.1900 0.0749 [8 per cell]  6 O 2.04-2.09
Rh 0.0013 0.2363 0.8213 [8 per cell]  6 O 2.05-2.17
O 0.1421 0.1278 0.2028 [8 per cell]  4 Rh 2.05-2.17
O 0.1489 0.6511 0.5526 [8 per cell]  4 Rh 2.06-2.10
O 0.1984 0.5200 0.8764 [8 per cell]  4 Rh 2.04-2.14

Entry from the Materials Project database: crystalline Na3La2Zn2PS5O24 at its relaxed geometry (PBE).

Results
- Raw total energy: -696.67 eV per cell
- ΔE_f: -2.36 eV/atom
- Energy with MP2020 corrections: -248.7 eV per formula unit

abc: 9.1219 9.1529 23.8210
angles: 89.89 89.19 60.31
Last column: nearest neighbours and their distance in Å.
Space group P1 (No. 1)
Asymmetric unit:
Na 0.0000 0.0000 0.0000 [1 per cell]  6 O 2.68-2.77
Na 0.0126 0.0038 0.5001 [1 per cell]  6 O 2.59-2.86
Na 0.0418 0.6552 0.4177 [1 per cell]  3 O 2.35-2.45
Na 0.3088 0.3291 0.8351 [1 per cell]  5 O 2.51-2.78
Na 0.3409 0.3193 0.3347 [1 per cell]  6 O 2.59-2.77
Na 0.3546 0.6356 0.2568 [1 per cell]  5 O 2.40-2.66
Na 0.6446 0.3596 0.7505 [1 per cell]  4 O 2.39-2.62
Na 0.6794 0.6726 0.6779 [1 per cell]  3 O 2.47-2.56
Na 0.6936 0.6681 0.1794 [1 per cell]  3 O 2.38-2.55
La 0.0023 0.0004 0.3462 [1 per cell]  6 O 2.31-2.41
La 0.0047 0.0017 0.6510 [1 per cell]  6 O 2.29-2.45
La 0.0071 0.0019 0.8489 [1 per cell]  6 O 2.25-2.41
La 0.6524 0.6643 0.5224 [1 per cell]  6 O 2.23-2.47
La 0.6666 0.6667 0.0226 [1 per cell]  6 O 2.32-2.40
La 0.9924 0.9936 0.1504 [1 per cell]  6 O 2.28-2.46
Zn 0.3100 0.3361 0.6838 [1 per cell]  4 O 1.99-2.17
Zn 0.3169 0.3386 0.1835 [1 per cell]  5 O 2.03-2.15
Zn 0.3356 0.3298 0.9833 [1 per cell]  6 O 2.08-2.26
>>>

"Mr. Kaiba," said a reporter on the screen. "What do you have to say about the rare and powerful Exodia?"

"What?" Kaiba replied incredulously. "I thought we were supposed to talk about the Blue Eyes White Dragon, the greatest card ever created."

"But, sir, weren't all three of your dragons defeated by Exodia?"

"You have 30 seconds to get out of my sight."

The reporter quickly hurried off.

"You tell 'em, bro," came another voice off screen.

"Shut up, Mokuba," he replied. "And someone get rid of this camera!"

-- Inserted here: records of crystals --
- - -
The following is a DFT calculation (PBE) of a geometry-optimized Rb2P structure.

Results
Total magnetization: 1.00 μB per formula unit
Space group: Pnma, No. 62
Formation enthalpy at 0 K: -1 kJ/mol of formula units
Calculated total energy: -7.38 eV per formula unit

abc: 5.4904 8.4203 10.6103
angles: 90.00 90.00 90.00
Last column: nearest neighbours and their distance in Å.
Sites, in units of the cell vectors:
Rb1 0.2500 0.4813 0.1738  5 P 3.62-4.04, 3 Rb 3.99-4.00
P1 0.7500 0.7518 0.1151  7 Rb 3.40-3.64
P2 0.2500 0.2482 0.8849  7 Rb 3.40-3.64
Rb2 0.2500 0.8396 0.9276  4 P 3.40-3.47
P3 0.2500 0.7482 0.6151  7 Rb 3.40-3.64
Rb3 0.7500 0.5187 0.8262  5 P 3.62-4.04, 3 Rb 3.99-4.00
Rb4 0.2500 0.9813 0.3262  5 P 3.62-4.04, 3 Rb 3.99-4.00
Rb5 0.7500 0.1604 0.0724  4 P 3.40-3.47
Rb6 0.7500 0.6604 0.4276  4 P 3.40-3.47
P4 0.7500 0.2518 0.3849  7 Rb 3.40-3.64
Rb7 0.2500 0.3396 0.5724  4 P 3.40-3.47
Rb8 0.7500 0.0187 0.6738  5 P 3.62-4.04, 3 Rb 3.99-4.00


The following is a DFT calculation (PBE) of a geometry-optimized NdP3H10O14 structure.

Results
Total magnetization: 0.00 μB per formula unit
Space group: P2_1/c, No. 14
Formation enthalpy at 0 K: -5541 kJ/mol of formula units
Calculated total energy: -172.02 eV per formula unit

abc: 7.7697 11.3739 14.3553
angles: 90.00 106.47 90.00
Last column: nearest neighbours and their distance in Å.
Sites, in units of the cell vectors:
O1 0.8734 0.1048 0.2971  2 H 0.98-1.00
H1 0.9438 0.1740 0.7390  1 O 0.98
O2 0.4447 0.3841 0.0616  2 P 1.62
Nd1 0.3199 0.7548 0.6525  8 O 2.37-2.53
H2 0.5678 0.9932 0.7678  1 O 1.00
H3 0.1375 0.9118 0.7710  1 O 0.98
H4 0.5600 0.5267 0.6684  1 O 0.98
H5 0.7177 0.6706 0.2570  1 O 1.01
O3 0.2045 0.0638 0.4049  1 P 1.50, 2 H 1.58-1.64
O4 0.3886 0.3657 0.7918  2 H 1.01
H6 0.9843 0.0822 0.8250  1 O 0.99
H7 0.2388 0.0594 0.9427  1 O 0.98
O5 0.2725 0.3078 0.5444  2 P 1.64-1.65
H8 0.7177 0.8294 0.7570  1 O 1.01
O6 0.5855 0.2150 0.1669  1 P 1.50
H9 0.5600 0.9733 0.1684  1 O 0.98
O7 0.7275 0.6922 0.4556  2 P 1.64-1.65
H10 0.0023 0.9165 0.6636  1 O 1.00
O8 0.9072 0.7796 0.8306  1 P 1.50, 1 H 1.65
H11 0.2823 0.1706 0.2430  1 O 1.01
P1 0.5218 0.7564 0.9347  4 O 1.50-1.65
Nd2 0.6801 0.2548 0.8475  8 O 2.37-2.53
O9 0.5365 0.0577 0.8076  2 H 0.98-1.00
O10 0.8805 0.8862 0.4415  2 P 1.62
H12 0.8375 0.0680 0.0670  1 O 0.98
P2 0.4782 0.2436 0.0653  4 O 1.50-1.65
H13 0.6671 0.8973 0.6576  1 O 1.01
H14 0.9977 0.4165 0.8364  1 O 1.00
Nd3 0.3199 0.7452 0.1525  8 O 2.37-2.53
O11 0.8734 0.3952 0.7971  2 H 0.98-1.00
H15 0.5678 0.5068 0.2678  1 O 1.00
H16 0.8625 0.4118 0.7290  1 O 0.98
O12 0.2045 0.4362 0.9049  1 P 1.50, 2 H 1.58-1.64
H17 0.4400 0.4733 0.3316  1 O 0.98
O13 0.3886 0.1343 0.2918  2 H 1.01
H18 0.9438 0.3260 0.2390  1 O 0.98
H19 0.1375 0.5882 0.2710  1 O 0.98
O14 0.0928 0.2796 0.6694  1 P 1.50, 1 H 1.65
H20 0.0023 0.5835 0.1636  1 O 1.00
H21 0.7612 0.5594 0.5573  1 O 0.98
H22 0.2823 0.3294 0.7430  1 O 1.01
H23 0.0562 0.8260 0.2610  1 O 0.98
O15 0.8206 0.5004 0.6053  2 H 0.98
- - -
-- The article goes on --

"I'm hungry," Serenity complained as the screen cut back to some other footage.

"There's Easy-Mac in the cabinet," Joey said.

"But I don't know how to make it."

"It's called Easy Mac for a reason," he groaned. "Open the container, take out the cheese packet, fill it to the line with water, microwave it for three minutes, and stir in the cheese."

She stumbled into the kitchen and felt around for the cabinets.

When she'd asked her mother to allow her to spend the weekend with her brother a few days prior, the woman had been reluctant to send her daughter off to such an unsafe environment. Serenity convinced her that this was the safest time to let her go because her father was spending the weekend in Vegas. She also mentioned that Joey and his friends had just gotten out of a life-threatening situation so they weren't due for another until next season. Finally, her mother agreed and that Friday, she was in the small apartment with her brother.

_What comes next are crystal structures, not part of the entry_
## Sr4Fe3O10 (PBE+U)

Data for a relaxed structure of Sr4Fe3O10.

Output
- formation energy (meV per atom) = -2274
- magnetization (μB/f.u.) = 12.00
- DFT total energy (eV/cell) = -213.341

Cell lengths 10.972, 7.714, 8.951 Å; angles 90.43, 71.28, 46.65 degrees
Positions (direct):
Sr: 0.630 0.627 0.234
Sr: 0.364 0.892 0.767
Sr: 0.870 0.373 0.766
Sr: 0.136 0.108 0.233
Sr: 0.156 0.585 0.222
Sr: 0.344 0.415 0.778
Sr: 0.622 0.133 0.223
Sr: 0.878 0.867 0.777
O: 0.253 0.747 0.014
O: 0.504 0.754 0.989
O: 0.960 0.125 0.501
O: 0.604 0.408 0.724
O: 0.745 0.256 0.983
O: 0.122 0.874 0.776
O: 0.515 0.226 0.971
O: 0.896 0.592 0.276
O: 0.667 0.818 0.729
O: 0.396 0.598 0.233
O: 0.755 0.744 0.017
O: 0.378 0.126 0.224
O: 0.540 0.875 0.499
O: 0.104 0.402 0.767
O: 0.985 0.774 0.029
O: 0.996 0.246 0.011
O: 0.903 0.824 0.500
O: 0.247 0.253 0.986
O: 0.597 0.176 0.500
O: 0.833 0.182 0.271
Fe: 0.001 0.498 0.999
Fe: 0.726 0.825 0.499
Fe: 0.499 0.502 0.001
Fe: 0.994 0.007 0.010
Fe: 0.506 0.993 0.990
Fe: 0.774 0.175 0.501


Record 1
The following is a PBE calculation of a relaxed NbIn3SiS5O24 crystal, from the Materials Project database.

Lattice parameters (Å, degrees): 8.8992 8.9485 23.1880 90.16 90.15 119.99
Fractional coordinates of all 102 atoms:
O  0.3548  0.4906  0.3662
O  0.8534  0.5341  0.7417
O  0.8295  0.0319  0.0873
O  0.2134  0.0326  0.3092
O  0.4720  0.3137  0.0318
O  0.0378  0.8145  0.6963
O  0.6320  0.1229  0.4199
O  0.9757  0.7901  0.7997
O  0.4933  0.3678  0.4214
S  0.7055  0.7091  0.2511
O  0.1321  0.4875  0.5759
S  0.3791  0.3338  0.0825
O  0.9488  0.7817  0.0840
O  0.6463  0.1210  0.1358
O  0.5240  0.6837  0.2639
O  0.3097  0.4577  0.4705
O  0.8497  0.3014  0.5305
O  0.4700  0.3230  0.7416
O  0.1633  0.6938  0.7590
O  0.8766  0.5005  0.4205
S  0.6691  0.0443  0.0825
Si  0.6245  0.6697  0.9201
O  0.3715  0.8728  0.8654
Si  0.2902  0.0099  0.2494
O  0.6378  0.5181  0.6349
In  0.6686  0.3348  0.6855
In  0.9974  0.9989  0.6485
O  0.1508  0.6946  0.4693
O  0.6230  0.4824  0.9305
Nb  0.3300  0.6564  0.8174
S  0.0053  0.7095  0.7494
O  0.5078  0.8604  0.3648
O  0.8375  0.5186  0.0313
O  0.7705  0.9598  0.6958
O  0.8231  0.7982  0.5906
S  0.0012  0.2959  0.2514
In  0.9933  0.9979  0.8557
O  0.1767  0.2095  0.4114
O  0.7951  0.9732  0.4056
In  0.3351  0.6674  0.5207
Si  0.0481  0.3775  0.9196
O  0.4823  0.1196  0.6349
O  0.8627  0.3357  0.2428
O  0.1641  0.9493  0.1937
S  0.3733  0.0411  0.5829
O  0.6824  0.5376  0.2425
In  0.0089  0.0040  0.3519
O  0.9646  0.1884  0.3031
O  0.2001  0.0229  0.5906
S  0.3382  0.9554  0.9172
O  0.8811  0.3626  0.6347
S  0.3333  0.3804  0.4170
O  0.1856  0.2236  0.6967
O  0.0418  0.2265  0.2001
O  0.1388  0.5101  0.8613
O  0.5006  0.1268  0.9252
O  0.3081  0.4691  0.7594
S  0.9591  0.3321  0.5828
O  0.1645  0.4706  0.2648
S  0.2926  0.2942  0.7498
O  0.5477  0.7096  0.9750
O  0.2079  0.1734  0.0846
O  0.8732  0.5149  0.1357
O  0.8531  0.3609  0.9290
O  0.4872  0.1581  0.2432
Nb  0.6710  0.3375  0.9742
O  0.0248  0.1978  0.9027

Her thoughts were interrupted by the continuing plot. She'd found the bowl-like container and placed it on the counter. She carefully peeled off the plastic on the top and removed the cheese powder. Then she held the remaining noodles under the sink, allowing the water to flow slowly so as to not overfill it. Luckily, the line was tactile, so she could easily find it with her finger. She reached over her head to place the bowl in the microwave and realized a problem, she couldn't see the buttons and they weren't raised.

"Joey," she called. "I can't see the buttons and they're not raised."

"Oh you are so lucky it's a commercial break," he grumbled as he walked in and set the time before hitting Start.

3 minutes later

Beep, beep, beep.

Serenity opened the microwave and eagerly pulled out her food. However, she pulled too quickly, causing the steaming water inside to splash down into her shirt. She yelped in pain, barely managing to hold the bowl before setting it on the counter.

"Serenity," Joey cried as he ran into the kitchen. "What happened?"

"The water burned me," she choked through sobs. "Please help me."

"But I don't know anything about first aid," he said. He caught a glimpse of the tears in his little sister's unseeing eyes and his heart melted. "Don't worry, Sis. I'll call Yugi. He's a main character. He'll know what to do."

Meanwhile, thousands of miles away

Yugi and Tèa were walking down the street together. Tèa suddenly gasped.

"Yugi," she cried as she pointed across the street. "I think I heard that guy over there call you a short little nerd with a bad hairstyle. You should transform into your sexy alter ego and teach him a lesson."

"Really?" Yugi asked, glancing at the fat bald man in question. "I didn't hear anything."

"You didn't hear him say that you look like some little punk rock wannabe?"

"Oh he is so getting Mind Crushed."

Ring, ring, ring.

Yugi pulled out his cell phone and saw that it was Joey.

"Hello," he answered. "…Really?...How bad is it?...No, don't put ice on it…Because it'll just cause more damage…Just put a cool, wet rag on it and I'll be there as soon as possible."

He hung up and turned to Tèa.

"Joey's sister got burned by her Easy Mac," he explained. "I gotta go help her."

"Let me come with you," Tèa cried. "Friendship is the only thing that can save her."

"But what about…Bakura?" Yugi said quickly.


"That British kid from Season One who kept trying to steal my screen time. I heard his friendship levels are dangerously low. It could be lethal. I can take care of Serenity. Your expertise is needed elsewhere."

"You're right," she exclaimed before running off. "Friendship Powers activate!"

"Yugi ran off towards Joey's home.

'It sure is a good thing Joey's an incompetent brother' Yami said.

"What do you mean?" Yugi asked.

'I mean Tèa's been trying to get into my pants for months. It's getting annoying.'

"First off, they're my pants, not yours. Second, that's not important right now. Serenity needs help."

'You're right. What she needs is to play a children's card game.'

"You can't solve everything with card games and even if you could, she's blind. She can't see the cards."

'Then I'll challenge Joey to a duel and she can listen'

"Like I said before," he exclaimed, getting irritated. "Card games don't fix everything."

"Little boy," a man said from behind, startling the spiky-haired teen out of his conversation. "Who are you talking to?"

"The spirit who lives inside my puzzle,"" Yugi replied holding the pyramid-shaped artifact for him to see.

"You should come with me," the man said, grabbing the teen by the shoulders.

"But I need to help Serenity," Yugi cried.

"Joey's sexy sister is in trouble?" another voice called.

"Tristan," Yugi cried to his pointy-haired friend. "Serenity needs help. She spilt boiling water inside her shirt and needs someone to treat the burns."

"Hot dog," Tristan exclaimed. "I'm on it."

Yugi sighed in relief as Tristan ran off and found himself immediately panicking again when they forced his arms into the sleeves of a strait jacket.

"It looks like we're in for a long day, Pharaoh," Yugi said.

'It still beats spending the day with Tèa.'

Meanwhile, thousands of miles away

Tristan burst through the door, sweating and panting.

"I'm here to take care of your sister," he announced. "And by that, I mean seduce her."

"Where's Yugi?" Joey asked, ignoring the last part.

"He's got his hands full, and by that I mean he's got his hands in a strait jacket."

"Whatever," Joey said. "She's in the bathroom."

Tristan walked into the bathroom to find his true love sitting on the toilet (lid down of course) with a cool wash cloth pressed on the skin beneath her shirt.

"Jackpot," Tristan muttered as he pulled out a bottle of moisturizer from his pocket.

5 minutes later

"How did it go?" Joey asked as Tristan walked out of the bathroom.

"Great," He replied triumphantly. "I got to second base."

"Brooklyn rage!

It is implied that Joey gave Tristan a hardy butt kicking that lasted for a few hours. 4Kids refused to show it.

"I wonder how Yugi's doing," Joey said as they sat down on the couch to watch the Card Game Channel.

Meanwhile, thousands of miles away

"Right this way, sir," a doctor said as he ushered Yugi's grandpa into a white room.

"Grandpa," Yugi exclaimed. "What are you doing out of the basement?"

"I've come to take you home," the old man answered. "I told you to stop talking to that imaginary boyfriend of yours."

"I'm just glad to be going home," Yugi said. "But I can't help but feel like I'm forgetting something."

Meanwhile, thousands of miles away

"As I've said many times in this presentation, friendship is the only force keeping us alive in this cold, unforgiving world. That's why I'm here to replenish your supply."

Ryou sat there with a blank expression on his face. Tèa had been giving her PowerPoint presentation for several hours and refused to let him leave. Not for food, not to get the mail, or even to use the bathroom. He finally passed out, allowing his Yami to take over.

"What the bugger is going on?" Bakura asked before spotting the girl. "Not you again."

He grabbed the nearest object he could find, which was a teapot, (funny because he's British and because it's Tèa) and threw it at her before running off.

Ryou smiled from his soul room.

"I guess it's not always bad to have a Yami."

The End.

I hope you enjoyed this story. If you liked it, check out my other abridged fic, "Let Us Duel." Also check out "The Road to El Theifshipping" by AnimeMonkee.
